**Contents:**
┌──
{
  "formula": "Pm15SmTl4",
  "functional": "PBE-GGA",
  "state": "optimized geometry",
  "crystal_system": "tetragonal",
  "total_magnetization_mub_per_cell": 0.00,
  "sg": "P4/mmm",
  "formation_enthalpy_0k_mev_per_atom": -152.5,
  "cell": [[4.963, 0.000, 0.000], [0.000, 4.963, 0.000], [0.000, 0.000, 25.418]],
  "species": ["Pm", "Pm", "Pm", "Pm", "Pm", "Pm", "Pm", "Pm", "Pm", "Pm", "Pm", "Pm", "Pm", "Pm", "Pm", "Sm", "Tl", "Tl", "Tl", "Tl"],
  "frac_coords": [[0.000, 0.000, 0.000], [0.000, 0.000, 0.205], [0.000, 0.000, 0.402], [0.000, 0.000, 0.598], [0.000, 0.000, 0.795], [0.000, 0.500, 0.106], [0.000, 0.500, 0.303], [0.000, 0.500, 0.500], [0.000, 0.500, 0.697], [0.000, 0.500, 0.894], [0.500, 0.000, 0.106], [0.500, 0.000, 0.303], [0.500, 0.000, 0.500], [0.500, 0.000, 0.697], [0.500, 0.000, 0.894], [0.500, 0.500, 0.000], [0.500, 0.500, 0.206], [0.500, 0.500, 0.402], [0.500, 0.500, 0.598], [0.500, 0.500, 0.794]]
}

{
  "formula": "Pm5Sm4Tl",
  "functional": "PBE-GGA",
  "state": "optimized geometry",
  "crystal_system": "tetragonal",
  "total_magnetization_mub_per_cell": 0.00,
  "sg": "I4mm",
  "formation_enthalpy_0k_mev_per_atom": 122.8,
  "polymorph_energy_mev_per_atom": 100,
  "cell": [[-5.365, 5.365, 3.016], [5.365, -5.365, 3.016], [5.365, 5.365, -3.016]],
  "species": ["Pm", "Pm", "Pm", "Pm", "Pm", "Sm", "Sm", "Sm", "Sm", "Tl"],
  "frac_coords": [[0.000, 0.000, 0.000], [0.526, 0.526, 0.626], [0.526, 0.899, 0.000], [0.899, 0.526, 0.000], [0.899, 0.899, 0.374], [0.200, 0.515, 0.315], [0.200, 0.885, 0.685], [0.515, 0.200, 0.315], [0.885, 0.200, 0.685], [0.479, 0.479, 0.000]]
}

{
  "formula": "Pm3Sm5Tl3",
  "functional": "PBE-GGA",
  "state": "optimized geometry",
  "crystal_system": "hexagonal",
  "total_magnetization_mub_per_cell": 0.00,
  "sg": "P-62m",
  "formation_enthalpy_0k_mev_per_atom": 181.6,
  "cell": [[11.085, 0.000, 0.000], [-5.543, 9.600, 0.000], [0.000, 0.000, 3.489]],
  "species": ["Pm", "Pm", "Pm", "Sm", "Sm", "Sm", "Sm", "Sm", "Tl", "Tl", "Tl"],
  "frac_coords": [[0.000, 0.604, 0.000], [0.396, 0.396, 0.000], [0.604, 0.000, 0.000], [0.000, 0.297, 0.000], [0.297, 0.000, 0.000], [0.333, 0.667, 0.000], [0.667, 0.333, 0.000], [0.703, 0.703, 0.000], [0.000, 0.840, 0.500], [0.160, 0.160, 0.500], [0.840, 0.000, 0.500]]
}

{
  "formula": "Pm7Sm3Tl",
  "functional": "PBE-GGA",
  "state": "optimized geometry",
  "crystal_system": "trigonal",
  "total_magnetization_mub_per_cell": 0.00,
  "sg": "P3m1",
  "formation_enthalpy_0k_mev_per_atom": 121.5,
  "cell": [[7.115, 0.000, 0.000], [-3.558, 6.162, 0.000], [0.000, 0.000, 8.689]],
  "species": ["Pm", "Pm", "Pm", "Pm", "Pm", "Pm", "Pm", "Sm", "Sm", "Sm", "Tl"],
  "frac_coords": [[0.000, 0.000, 0.000], [0.164, 0.328, 0.336], [0.164, 0.836, 0.336], [0.502, 0.004, 0.011], [0.502, 0.498, 0.011], [0.672, 0.836, 0.336], [0.996, 0.498, 0.011], [0.332, 0.166, 0.670], [0.834, 0.166, 0.670], [0.834, 0.668, 0.670], [0.667, 0.333, 0.342]]
}

{
  "formula": "Pm3Sm3Tl4",
  "functional": "PBE-GGA",
  "state": "optimized geometry",
  "crystal_system": "orthorhombic",
  "total_magnetization_mub_per_cell": 0.00,
  "sg": "Amm2",
  "formation_enthalpy_0k_mev_per_atom": -296.6,
  "cell": [[4.559, 0.000, 0.000], [0.000, 5.865, 5.856], [0.000, -5.865, 5.856]],
  "species": ["Pm", "Pm", "Pm", "Sm", "Sm", "Sm", "Tl", "Tl", "Tl", "Tl"],
  "frac_coords": [[0.000, 0.000, 0.000], [0.000, 0.159, 0.501], [0.000, 0.501, 0.159], [0.000, 0.659, 0.659], [0.500, 0.329, 0.830], [0.500, 0.830, 0.329], [0.500, 0.200, 0.200], [0.500, 0.460, 0.460], [0.500, 0.700, 0.959], [0.500, 0.959, 0.700]]
}

{
  "formula": "Pm4Sm15Tl",
  "functional": "PBE-GGA",
  "state": "optimized geometry",
  "crystal_system": "tetragonal",
  "total_magnetization_mub_per_cell": 0.00,
  "sg": "P4/mmm",
  "formation_enthalpy_0k_mev_per_atom": -20.0,
  "cell": [[5.079, 0.000, 0.000], [0.000, 5.079, 0.000], [0.000, 0.000, 25.758]],
└──

**What to do:**
It remains to type out the lines earlier on up to the one that holds "Amm2", that line included.

**Solution:**
{
  "formula": "Pm15SmTl4",
  "functional": "PBE-GGA",
  "state": "optimized geometry",
  "crystal_system": "tetragonal",
  "total_magnetization_mub_per_cell": 0.00,
  "sg": "P4/mmm",
  "formation_enthalpy_0k_mev_per_atom": -152.5,
  "cell": [[4.963, 0.000, 0.000], [0.000, 4.963, 0.000], [0.000, 0.000, 25.418]],
  "species": ["Pm", "Pm", "Pm", "Pm", "Pm", "Pm", "Pm", "Pm", "Pm", "Pm", "Pm", "Pm", "Pm", "Pm", "Pm", "Sm", "Tl", "Tl", "Tl", "Tl"],
  "frac_coords": [[0.000, 0.000, 0.000], [0.000, 0.000, 0.205], [0.000, 0.000, 0.402], [0.000, 0.000, 0.598], [0.000, 0.000, 0.795], [0.000, 0.500, 0.106], [0.000, 0.500, 0.303], [0.000, 0.500, 0.500], [0.000, 0.500, 0.697], [0.000, 0.500, 0.894], [0.500, 0.000, 0.106], [0.500, 0.000, 0.303], [0.500, 0.000, 0.500], [0.500, 0.000, 0.697], [0.500, 0.000, 0.894], [0.500, 0.500, 0.000], [0.500, 0.500, 0.206], [0.500, 0.500, 0.402], [0.500, 0.500, 0.598], [0.500, 0.500, 0.794]]
}

{
  "formula": "Pm5Sm4Tl",
  "functional": "PBE-GGA",
  "state": "optimized geometry",
  "crystal_system": "tetragonal",
  "total_magnetization_mub_per_cell": 0.00,
  "sg": "I4mm",
  "formation_enthalpy_0k_mev_per_atom": 122.8,
  "polymorph_energy_mev_per_atom": 100,
  "cell": [[-5.365, 5.365, 3.016], [5.365, -5.365, 3.016], [5.365, 5.365, -3.016]],
  "species": ["Pm", "Pm", "Pm", "Pm", "Pm", "Sm", "Sm", "Sm", "Sm", "Tl"],
  "frac_coords": [[0.000, 0.000, 0.000], [0.526, 0.526, 0.626], [0.526, 0.899, 0.000], [0.899, 0.526, 0.000], [0.899, 0.899, 0.374], [0.200, 0.515, 0.315], [0.200, 0.885, 0.685], [0.515, 0.200, 0.315], [0.885, 0.200, 0.685], [0.479, 0.479, 0.000]]
}

{
  "formula": "Pm3Sm5Tl3",
  "functional": "PBE-GGA",
  "state": "optimized geometry",
  "crystal_system": "hexagonal",
  "total_magnetization_mub_per_cell": 0.00,
  "sg": "P-62m",
  "formation_enthalpy_0k_mev_per_atom": 181.6,
  "cell": [[11.085, 0.000, 0.000], [-5.543, 9.600, 0.000], [0.000, 0.000, 3.489]],
  "species": ["Pm", "Pm", "Pm", "Sm", "Sm", "Sm", "Sm", "Sm", "Tl", "Tl", "Tl"],
  "frac_coords": [[0.000, 0.604, 0.000], [0.396, 0.396, 0.000], [0.604, 0.000, 0.000], [0.000, 0.297, 0.000], [0.297, 0.000, 0.000], [0.333, 0.667, 0.000], [0.667, 0.333, 0.000], [0.703, 0.703, 0.000], [0.000, 0.840, 0.500], [0.160, 0.160, 0.500], [0.840, 0.000, 0.500]]
}

{
  "formula": "Pm7Sm3Tl",
  "functional": "PBE-GGA",
  "state": "optimized geometry",
  "crystal_system": "trigonal",
  "total_magnetization_mub_per_cell": 0.00,
  "sg": "P3m1",
  "formation_enthalpy_0k_mev_per_atom": 121.5,
  "cell": [[7.115, 0.000, 0.000], [-3.558, 6.162, 0.000], [0.000, 0.000, 8.689]],
  "species": ["Pm", "Pm", "Pm", "Pm", "Pm", "Pm", "Pm", "Sm", "Sm", "Sm", "Tl"],
  "frac_coords": [[0.000, 0.000, 0.000], [0.164, 0.328, 0.336], [0.164, 0.836, 0.336], [0.502, 0.004, 0.011], [0.502, 0.498, 0.011], [0.672, 0.836, 0.336], [0.996, 0.498, 0.011], [0.332, 0.166, 0.670], [0.834, 0.166, 0.670], [0.834, 0.668, 0.670], [0.667, 0.333, 0.342]]
}

{
  "formula": "Pm3Sm3Tl4",
  "functional": "PBE-GGA",
  "state": "optimized geometry",
  "crystal_system": "orthorhombic",
  "total_magnetization_mub_per_cell": 0.00,
  "sg": "Amm2",